Wednesday, September 2, 2009

El Fin :(

**Calculated crystals, as found in the file:**
********
The following is a DFT calculation (PBE) of a relaxed K2ScPCO7 crystal.

## Properties
Total DFT energy (no corrections) in eV per formula unit: -86.1
Symmetry: No. 11
Size of the total moment in μB per formula unit: 0.0

```
K2ScPCO7
1.0
-5.333 -0.423 4.375
3.243 -2.966 3.666
2.921 8.257 4.360
O K C Sc P
14 4 2 2 2
Direct
0.250 0.297 0.970
0.936 0.238 0.349
0.250 0.065 0.160
0.250 0.457 0.520
0.750 0.552 0.817
0.750 0.118 0.563
0.436 0.762 0.651
0.250 0.448 0.183
0.750 0.703 0.030
0.064 0.762 0.651
0.750 0.935 0.840
0.250 0.882 0.437
0.750 0.543 0.480
0.564 0.238 0.349
0.517 0.753 0.234
0.983 0.753 0.234
0.017 0.247 0.766
0.483 0.247 0.766
0.250 0.270 0.097
0.750 0.730 0.903
0.750 0.776 0.639
0.250 0.224 0.361
0.750 0.282 0.433
0.250 0.718 0.567
```
********
SO I have been horrible at keeping up with this, but since my last post:
- I ate guinea pig (cuy) in a town called Tipon, it tasted a bit like duck meat and was surprisingly delicious!
- We finished the SODIS project and had an amazing goodbye from the teachers and students at Huacar Pay (even though it was a bit hectic trying to explain, in Spanish, to a group of fifteen 4-15 year olds that it isn't good to drink the dirty lake water while washing your hands, hence the purpose of our Water Purification project...). We gave them a bunch of little things from Canada and they asked us questions about our country and could not fathom that the temperature gets below freezing, let alone to minus 30 (or lower) in some places!
Attached: records of crystals:
-- begin --
Compound: SrCaSmNbO6
Source: the Materials Project database
Functional: GGA-PBE
Structure: optimized geometry

Formation energy from the elements ... -3.251 eV per atom
E (MP2020) ... -80.71 eV/f.u.
Offset from the most stable computed form ... 106 meV/atom
Calculated total energy ... -7.66 eV per atom

Cell and atoms, written as CIF:
```
data_SrCaSmNbO6
_space_group_name_H-M_alt 'F -4 3 m'
_space_group_IT_number 216
_space_group_name_Hall 'F -4 2 3'
_cell_length_a 8.521
_cell_length_b 8.521
_cell_length_c 8.521
_cell_angle_alpha 90.00
_cell_angle_beta 90.00
_cell_angle_gamma 90.00
loop_
_atom_site_label
_atom_site_fract_x
_atom_site_fract_y
_atom_site_fract_z
Sr1 0.000 0.000 0.000
Ca1 0.000 0.000 0.500
Sm1 0.250 0.250 0.750
Nb1 0.250 0.250 0.250
O1 0.015 0.250 0.250
```

----------

# 1
Fe3PtN: relaxed, GGA-PBE.

```
Fe3PtN
1.0
3.860 0.000 0.000
0.000 3.860 0.000
0.000 0.000 3.860
Fe Pt N
3 1 1
Cartesian
0.000 0.000 1.930
0.000 1.930 0.000
1.930 0.000 0.000
1.930 1.930 1.930
0.000 0.000 0.000
```

Output
final energy = -8.14 eV/atom
excess energy over the best structure of this formula in the dataset = 0.000 eV/atom
energy of formation = -0.252 eV per atom

# 2
Mg3Si2H4O9: relaxed, GGA-PBE.

```
Mg3Si2H4O9
1.0
5.371 0.000 0.000
-2.686 4.652 0.000
0.000 0.000 14.807
Mg Si H O
6 4 8 18
Cartesian
-0.890 1.541 0.000
-1.796 3.111 7.404
1.779 0.000 0.000
0.890 1.541 7.404
3.592 0.000 7.404
1.796 3.111 0.000
0.000 3.101 4.586
0.000 3.101 11.990
2.686 1.551 4.586
2.686 1.551 11.990
0.000 0.000 5.332
0.000 0.000 12.735
-0.943 1.634 9.351
-1.743 3.018 1.947
1.886 0.000 9.351
0.943 1.634 1.947
3.485 0.000 1.947
1.743 3.018 9.351
0.000 0.000 6.298
0.000 0.000 13.702
-0.903 1.564 8.383
-1.311 2.271 11.377
-1.375 2.381 3.973
-1.783 3.088 0.979
0.000 3.101 6.196
0.000 3.101 13.600
1.806 0.000 8.383
0.903 1.564 0.979
2.622 0.000 11.377
1.311 2.271 3.973
2.749 0.000 3.973
1.375 2.381 11.377
3.566 0.000 0.979
1.783 3.088 8.383
2.686 1.551 6.196
2.686 1.551 13.600
```

Output
final energy = -6.35 eV/atom
magnetic moment = 0.00 μB per atom
energy of formation = -2.592 eV per atom
piezoelectric modulus e_max = 0.6 C/m²

----------

No. 1
The following is a PBE with a Hubbard U calculation of crystalline Ti4CoP6O24 at its relaxed geometry, from the Materials Project.

Its energy with MP2020 corrections is -0.3063 Ha/atom. As for the formation energy: -2.909 eV per atom. The total energy comes out at -7.82 eV/atom. For the density, the calculation gives 3.01 g cm⁻³. As for the symmetry: No. 148.

Cell: 8.583 8.583 8.583 Å, 60.47 60.47 60.47°
Positions (direct):
Ti: 0.354 0.354 0.354
Ti: 0.866 0.866 0.866
Ti: 0.646 0.646 0.646
Ti: 0.134 0.134 0.134
Co: 0.500 0.500 0.500
P: 0.954 0.532 0.254
P: 0.254 0.954 0.532
P: 0.532 0.254 0.954
P: 0.746 0.046 0.468
P: 0.468 0.746 0.046
P: 0.046 0.468 0.746
O: 0.239 0.450 0.580
O: 0.580 0.239 0.450
O: 0.450 0.580 0.239
O: 0.091 0.939 0.721
O: 0.721 0.091 0.939
O: 0.939 0.721 0.091
O: 0.761 0.550 0.420
O: 0.420 0.761 0.550
-- stop --
- We attempted to start greenhouse construction at another school called Q'ollana, however the plough man, who was supposed to come last week, wouldn't show up until Friday (the day we leave) and so we couldn't even start it. I think I mentioned that things take a while to happen here...
- I ate alpaca, twice... yumm
- I travelled to the city of Puno on Lake Titicaca (the highest navigable fresh water lake in the world!) last weekend, where we visited floating reed islands and stayed overnight on an island where there was no electricity or running water!! Our host family also didn't speak any Spanish let alone English, as they had lived on the island for a long time and only needed Quechua to get by. Amazing experience. We also hiked up a mountain and were at 4100m above sea level. Before that, we got to play some football at 3900 m and I was the only girl playing against a bunch of intense French guys.. just a little intimidating.
- We went to a huge market in Pisac today and while trying to barter for items (which I am SO terrible at) it was so windy that a pole holding up the market stand flew down and struck me in the head. I proceeded to ask the sales lady "tienes descuenta?" (can I get a discount?).. needless to say that didn't work in my favour..
- The family here had a bunch of family friends randomly come over last night and tonight, and what I thought was just a hang out session in the garage turned out to be all of them (20+ people) dancing in the street in sync, Peruvian style to Peruvian music. Turns out they just do this on random nights every week after work/school. You should see how amazing they are at dancing, us Canadians have nothing on them.
When I get back to Canada I will post pictures on here that I have been trying and trying to do while I've been here. This has been an experience of a lifetime and I would recommend to anyone going traveling to come to this beautiful country. I would've liked to have accomplished more with the volunteering aspect but it is so hard to get something going when you're in one place for only 3 weeks. I have had a taste for travel and volunteering and don't think that this will be my last time doing either. If anyone ever wants to ask about traveling to Peru I would LOVE to talk about it!
Buenas noches,